Ive seen a lot of comments on new gods in general, so this response is going to go outside the scope of just OPs comments - but it seems like a fine time to share some more accurate and up to date information
First - OPs topic here
On the concept of "power creep"
New gods are designed to bring new features, new themes, and new experiences to the game. We are not intentionally overpowering new gods, we are not intentionally adding elements specifically for power.
Abilities have multiple components to add to the gods theming, or to put new gameplay twists on abilities.
On balance vs design
Balance does not directly relate to the "number of things" an ability does - its easy to have an ability that does a lot of different things and still be weak or feel weak, so comparing these two concepts directly is a bit of a misdirect in itself. Often new gods winrates go down substantially through some reasonable numbers nerfs, no components need to be removed.
On our goals for new gods
Contrary to a top comment in this thread - we actually have sufficient data to prove that our players prefer more complex gods - with more interations and higher skill caps. We have been mostly designing to that regard for the last 2 years. This has created some interesting perception vs reality problems - like Persephone and Yemoja having some of the lowest winrates in the game while still being regarded as OP. These gods have low winrates because most players cannot play them well.
On things always changing and intentional diversity
Now im sure plenty of people will read my previous statement and point out one specific easy god to invalidate the statement, so lets respond to that now.
We aim for a lot of diversity between gods each year - gameplay, class, pantheon, visual, theme - and difficulty diversity! So not every god is intentionally "expert" to learn - some are just hard or even medium/easy - we intentionally alternate through these aspects.
Things change, goals change, our design process has changed. Things we aimed to do 2+ years ago arent accurate to our goals now.
On gods being launched intentionally OP
## Data records, as found in the file
........
# CrTcAg2

A relaxed structure of CrTcAg2 (PBE-GGA, Alexandria via LeMat-Bulk).

Summary:
Its distance to the lowest polymorph of the same formula is 346 meV per atom. As for the total energy: -0.4229 Ry per atom. The total moment comes out at 0.96 μB per atom. For the formation energy, the calculation gives 258 kJ/mol of formula units. As for the symmetry: R-3m (166).

Unit cell a=9.604 b=9.604 c=9.604 alpha=16.79 beta=16.79 gamma=16.79
Each line ends with the local moment (μB).
Fractional positions:
Ag: 0.999 0.999 0.999  0.05
Ag: 0.501 0.501 0.501  0.05
Cr: 0.250 0.250 0.250  3.00
Tc: 0.750 0.750 0.750  0.41
........
## Here the text continues
This is generally false, and not our goal at all. Generally we would prefer gods to released as feeling "balanced" - meaning their launch few weeks win rate should be in the middle of the pack of gods - so out of 110+ gods thatd be rank 40-60 ish in winrate. This is the ideal launch - this is what we aim for. Its also very hard to do. This is not a SMITE specific challenge - if you follow any similar game you undoubtedly see similar "new champ OP" or "new champ trash" comments.
Gods are designed from their theme and their gameplay. These goals bring about the core components of each ability - balance is constantly considered alongside theme and gameplay and tweaks are made constantly for months of development.
I shared the launch data here:
Two of our gods were underpowered (mulan), one extremely so on launch (baba). One was clearly overpowered (tsuku). And the other 2 were relatively close to our target, although still overpowered (cthulhu and danza).
Now, its not our goal for new gods to be OP - but lets look at what objectively happens to new gods.
New gods that are OP
tend to get a lot of play
we have no data to show that people actually quit the game because of this
tend to keep a reputation of being OP for a long time - keeping their popularity or ban rate high even when win% drops to 50% or well below that
New gods that are weak
tend to drop off in popularity very fast
still bring people back to the game to check them out
tend to keep the reputation of being weak for a long time - even when buffed well above 50% win%
We aim for balanced - and we are generally OK with launches being a little too strong or too weak - there are pros and cons to both. We don't try to engineer either of the above situations - this is just what tends to happen when people passionately discuss video games on the internet.
On balance and response to launches
Every god this year has been adjusted within 2 weeks of launch. That is our first balance release and the soonest we can reasonably make changes. Tsukuyomi was the strongest god in years, and the only one we ever considered a "balance hotfix" for - but he was still adjusted on bonus balance 14 days later.
We take player feedback seriously and make considerable adjustments as early as possible.
One thing that commonly comes up its "PTS Data" - and I want to make it clear that PTS data is extremely unreliable and weak. It generally has very few games, all of them are new god mirrors (for danza patch literally 100% of conquest games were danza mirrors) - and the data we saw there did not match live (and neither have previous gods) - the gods almost always get stronger from PTS to Day 1 live to Day 14 live - and each of them tend to grow at different rates.
Having the first few days of actual live data is so much more helpful - and we quickly balance in response to that.
Danza will be the only god who won't be adjusted this quickly due to launching during the Holidays. His win% has climbed into nerf territory - and we will be nerfing him in 8.1 with the rest of the major changes.
On dev/community
We are always listening to our players - and we try to reply as much as possible. Ive been on vacation and spending a lot of time with the family so its been harder to catch everything thats happening. I still check r/smite often, as well as twitter, watching streams, and playing the game. Even on vacation we do all of this.
Ill need to get back to the family soon so im not sure ill be able to provide more replies on this topic, but I hope this clears up a few common misconceptions and old echo chamber quotes.
Thanks yall!